Chat threads for DMs

Hi Nathan and Lindsey,

Thanks for your replies. It feels great to participate in this community. :slight_smile:

I appreciate it that personal messages are available. However our users have something in common: My users love simple! :wink: But for some people, personal messages are easy, and for others chat dm’s are easy…

Obviously people who are using Discourse for years are really used to personal messages. They don’t have to think how to use it, because they already know it.

If I wanted to move the heaviest users of Discourse personal messages from Discourse to Slack, it would be easier to move them if Slack provided a graphic user interface that looked like the interface of Discourse.

If I wanted to move users from Slack to Discourse, it would be easier to move them if Discourse provided a graphic user interface that looks like the interface of Slack for direct messages.

It would also help if system messages and other messages like badge notifications could be delivered inside Discourse dm’s / direct messages instead of personal messages.

Because change can be hard for my team. Some don’t want to move to another platform. They are using Slack for years and want to keep using it.

If we’re moving from Slack to Discourse right now, everything would be different.

  • public and private Slack channels would be converted into public and private Discourse categories. Some of our users feel this as a big difference.
  • I don’t know if we would convert Slack DMs – right now there’s not a good alternative inside Discourse in my opinion.

Between two parts of the article: records of crystals >
-- begin --
Record 1
A geometry-optimized Ga3Au structure, computed with PBE-GGA.

a = 6.2966 Å, b = 6.2966 Å, c = 4.2906 Å
α = 90.00°, β = 90.00°, γ = 120.00°
With the nearest neighbours (Å) after each atom.
Element x y z (fractional)
Ga  0.1671  0.3343  0.2500  2 Au 2.81, 6 Ga 2.82-3.14
Ga  0.8329  0.6657  0.7500  2 Au 2.81, 6 Ga 2.82-3.14
Ga  0.8329  0.1671  0.7500  2 Au 2.81, 6 Ga 2.82-3.14
Ga  0.6657  0.8329  0.2500  2 Au 2.81, 6 Ga 2.82-3.14
Ga  0.3343  0.1671  0.7500  2 Au 2.81, 6 Ga 2.82-3.14
Ga  0.1671  0.8329  0.2500  2 Au 2.81, 6 Ga 2.82-3.14
Au  0.3333  0.6667  0.7500  6 Ga 2.81
Au  0.6667  0.3333  0.2500  6 Ga 2.81

Summary:
DFT total energy: -24.897 eV/cell
spin magnetization: 0.00 μB/cell
ΔH_f (0 K): -9 kJ/mol of formula units
distance to the lowest polymorph of the same formula: 18 meV/atom
calculated volume: 147.3 Å³/cell

---

Record 2
A geometry-optimized GaPt3C structure, computed with PBE-GGA.

a = 4.2064 Å, b = 4.2064 Å, c = 4.2064 Å
α = 90.00°, β = 90.00°, γ = 90.00°
With the nearest neighbours (Å) after each atom.
Element x y z (fractional)
Pt  0.0000  0.5000  0.5000  2 C 2.10
Pt  0.5000  0.5000  0.0000  2 C 2.10
Pt  0.5000  0.0000  0.5000  2 C 2.10
C  0.5000  0.5000  0.5000  6 Pt 2.10
Ga  0.0000  0.0000  0.0000  12 Pt 2.97

Summary:
DFT total energy: -28.727 eV/cell
spin magnetization: 0.00 μB/cell
ΔH_f (0 K): 168 kJ/mol of formula units
calculated volume: 74.4 Å³/cell

=====

1.
{"formula": "LaMn2CdO6", "functional": "PBE+U", "state": "optimized geometry", "lattice": [[-2.715, 1.777, 4.508], [0.004, -3.118, 4.356], [2.668, 1.744, 4.490]], "species": ["La", "Mn", "Mn", "Cd", "O", "O", "O", "O", "O", "O"], "frac_coords": [[0.746, 0.753, 0.753], [0.001, 0.001, 0.000], [0.497, 0.502, 0.499], [0.253, 0.248, 0.246], [0.856, 0.227, 0.681], [0.247, 0.666, 0.838], [0.665, 0.839, 0.246], [0.752, 0.318, 0.179], [0.320, 0.177, 0.758], [0.163, 0.769, 0.301]]}

=====

2.
{"formula": "LaMn2CdO6", "functional": "PBE+U", "state": "optimized geometry", "lattice": [[2.771, 1.633, 4.511], [-5.349, -3.119, 4.341], [2.755, -4.836, -0.012]], "species": ["La", "La", "Mn", "Mn", "Mn", "Mn", "Cd", "Cd", "O", "O", "O", "O", "O", "O", "O", "O", "O", "O", "O", "O"], "frac_coords": [[0.501, 0.749, 0.001], [0.000, 0.249, 0.501], [0.499, 0.000, 0.500], [0.001, 0.000, 0.000], [0.999, 0.499, 0.000], [0.501, 0.500, 0.501], [0.500, 0.251, 0.998], [0.000, 0.751, 0.498], [0.202, 0.543, 0.715], [0.702, 0.043, 0.215], [0.288, 0.459, 0.202], [0.788, 0.959, 0.702], [0.001, 0.751, 0.083], [0.501, 0.251, 0.583], [0.718, 0.530, 0.791], [0.218, 0.030, 0.291], [0.999, 0.249, 0.932], [0.499, 0.749, 0.431], [0.791, 0.469, 0.278], [0.291, 0.969, 0.778]]}

=====

3.
-- stop --

If we’re moving from Slack to Discourse and DM threading would be enabled, 50% would be different. Around 50% of the conversations in our Slack Workspace take place inside direct messages. If chat threads for DMs would be available we would do this:

  • public and private Slack channels would be converted into public and private Discourse categories. Some of our users feel this as a big difference.
  • all Slack DMs would be converted into Discourse Chat DMs. As this is a familiar interface, I expect that people can use it right away when they know how to use Slack direct messages.

I think the Discourse team did a great job with Introducing chat threads! We would like to use chat threads for DMs too. Enabling this would make the gap between Slack and Discourse smaller.

Is it possible to add chat threads for DM’s with a plugin? If that’s not possible – is it possible to hire a developer that can add this to the core of Discourse? Or is it better if we wait until the Discourse team implemented this into the core of Discourse?